# Contents
=====
Computed, not measured: an optimized crystal structure of Cd2ReSb at the GGA-PBE level of DFT.

Cell lengths 3.001, 3.001, 11.126 Å; angles 90.00, 90.00, 116.29 degrees
Element x y z (fractional)
Cd 0.000 0.000 0.000
Cd 0.500 0.500 0.253
Re 0.500 0.500 0.784
Sb 0.000 0.000 0.589

Summary:
Formation energy without anion corrections ... 0.50 eV/atom
Raw total energy ... -4.10 eV/atom

***

Computed, not measured: an optimized crystal structure of BaZn3Co at the GGA-PBE level of DFT.

Cell lengths 4.779, 4.779, 4.779 Å; angles 90.00, 90.00, 90.00 degrees
Element x y z (fractional)
Ba 0.000 0.000 0.000
Zn 0.000 0.500 0.500
Zn 0.500 0.000 0.500
Zn 0.500 0.500 0.000
Co 0.500 0.500 0.500

Summary:
Offset from the most stable computed form ... 0.0000 eV/atom
Raw total energy ... -2.68 eV/atom
DFT formation energy ... -109 meV/atom

***

Computed, not measured: an optimized crystal structure of Hg2IrCl at the GGA-PBE level of DFT.

Cell lengths 7.338, 7.338, 7.338 Å; angles 157.00, 146.00, 41.45 degrees
Element x y z (fractional)
Hg 0.183 0.183 0.000
Hg 0.817 0.817 0.000
Ir 0.000 0.500 0.500
Cl 0.500 0.000 0.500

Summary:
Offset from the most stable computed form ... 0.2658 eV/atom
Formation energy without anion corrections ... 0.41 eV/atom
Raw total energy ... -2.42 eV/atom

***

Computed, not measured: an optimized crystal structure of K2CoSi at the GGA-PBE level of DFT.

Cell lengths 2.891, 3.703, 10.019 Å; angles 90.00, 90.00, 90.00 degrees
Element x y z (fractional)
K 0.000 0.000 0.000
K 0.500 0.500 0.410
Co 0.000 0.000 0.700
Si 0.500 0.500 0.721

Summary:
Formation energy without anion corrections ... 0.29 eV/atom
Raw total energy ... -3.40 eV/atom

***

Computed, not measured: an optimized crystal structure of AlPSeBr2 at the GGA-PBE level of DFT.

Cell lengths 5.266, 5.266, 4.827 Å; angles 90.00, 90.00, 90.00 degrees
Element x y z (fractional)
Al 0.000 0.000 0.000
P 0.500 0.500 0.500
Se 0.500 0.500 0.000
Br 0.000 0.500 0.500
Br 0.500 0.000 0.500

Summary:
Offset from the most stable computed form ... 0.0000 eV/atom
Formation energy without anion corrections ... 0.17 eV/atom
Raw total energy ... -3.03 eV/atom

***

Computed, not measured: an optimized crystal structure of Mn3SnBr9 at the GGA-PBE level of DFT.

Cell lengths 10.630, 10.630, 13.647 Å; angles 123.64, 123.64, 53.92 degrees
Element x y z (fractional)
Mn 0.062 0.938 0.500
Mn 0.286 0.524 0.609
Mn 0.524 0.286 0.109
Mn 0.555 0.707 0.453
Mn 0.707 0.555 0.953
Mn 0.938 0.062 0.000
Sn 0.045 0.494 0.785
Sn 0.494 0.045 0.285
Br 0.027 0.737 0.514
Br 0.052 0.795 0.844
Br 0.105 0.151 0.708
Br 0.151 0.105 0.208
Br 0.186 0.359 0.601
Br 0.253 0.777 0.376
Br 0.359 0.186 0.101
Br 0.363 0.452 0.972
Br 0.444 0.690 0.801
Br 0.452 0.363 0.472
Br 0.573 0.946 0.480
Br 0.638 0.698 0.144
Br 0.690 0.444 0.301
Br 0.698 0.638 0.644
Br 0.737 0.027 0.014
Br 0.777 0.253 0.876
Br 0.795 0.052 0.344
Br 0.946 0.573 0.980

Summary:
Formation energy without anion corrections ... -0.69 eV/atom
Raw total energy ... -4.27 eV/atom

***

Computed, not measured: an optimized crystal structure of NaZnAsH2 at the GGA-PBE level of DFT.

Cell lengths 3.964, 3.964, 5.081 Å; angles 90.00, 90.00, 90.00 degrees
Element x y z (fractional)
Na 0.000 0.000 0.000
Zn 0.500 0.500 0.000
As 0.500 0.500 0.500
H 0.000 0.500 0.500
H 0.500 0.000 0.500

Summary:
Raw total energy ... -2.45 eV/atom

***

Computed, not measured: an optimized crystal structure of CeDy14Ho at the GGA-PBE level of DFT.

Cell lengths 7.081, 7.081, 10.012 Å; angles 90.00, 90.00, 90.00 degrees
Element x y z (fractional)
Ce 0.000 0.000 0.000
Dy 0.000 0.000 0.500
Dy 0.000 0.500 0.000
Dy 0.000 0.500 0.500
Dy 0.249 0.249 0.250
Dy 0.249 0.249 0.750
Dy 0.249 0.751 0.250
Dy 0.249 0.751 0.750
Dy 0.500 0.000 0.000
Dy 0.500 0.000 0.500
Dy 0.500 0.500 0.500
Dy 0.751 0.249 0.250
Dy 0.751 0.249 0.750
Dy 0.751 0.751 0.250
Dy 0.751 0.751 0.750
Ho 0.500 0.500 0.000

Summary:
Raw total energy ... -4.66 eV/atom
DFT formation energy ... 27 meV/atom

***
=====
# Wanted
Could you filter the data earlier on: keep the lines with the word "Na"?
# Here it is
Na 0.000 0.000 0.000